Your job: quote only the last part of the material further down, starting with the line that has "-1.8564 0.4857".

- - -
No. 1
Entry from the OMol25 dataset: a molecular structure, C27H28HfN3S2 at a distorted geometry (ωB97M-V/def2-TZVPD).

Calculated values
Energy above the lowest of the compared OMol25 structures with the same formula, charge and spin in eV: 0.231
Total charge: +3
E in eV: -55876.7840
Lowest unoccupied orbital energy in eV: -11.279

Cartesian coordinates (Å):
Hf1 0.0034 0.2598 0.8317
C1 -1.3712 -1.6625 2.4743
C2 -2.2458 -2.1235 1.3250
C3 -3.4999 -2.6399 1.5789
C4 -4.3214 -3.0181 0.5235
C5 -3.9031 -2.8611 -0.7883
C6 -2.6434 -2.3546 -1.0917
C7 -2.2593 -2.1325 -2.5350
C8 -1.8237 -2.0322 -0.0061
N1 -0.4660 -1.5650 -0.1657
C9 0.4911 -2.2359 -0.7160
C10 0.3515 -3.5762 -1.3133
C11 1.8435 -1.5371 -0.6673
C12 2.9974 -2.0895 -1.3974
N2 1.8416 -0.4369 0.0101
C13 2.9722 0.4359 0.2027
C14 4.1652 -0.0020 0.7916
C15 4.3601 -1.3802 1.3807
C16 5.1877 0.9319 0.8943
C17 5.0282 2.2317 0.4442
C18 3.8189 2.6485 -0.0937
C19 2.7653 1.7614 -0.2005
C20 1.4463 2.2664 -0.7574
H1 -1.5573 -2.2742 3.3576
H2 -1.6092 -0.6410 2.7989
H3 -0.2868 -1.7845 2.3058
H4 -3.8424 -2.7534 2.6020
H5 -5.3031 -3.4261 0.7310
H6 -4.5666 -3.1297 -1.6028
H7 -3.0401 -1.5661 -3.0422
H8 -2.1706 -3.0806 -3.0688
H9 -1.3268 -1.5833 -2.6607
H10 -0.5172 -4.0920 -0.9049
H11 1.2555 -4.1664 -1.1609
H12 0.2024 -3.4899 -2.3970
H13 2.6731 -2.4701 -2.3695
H14 3.4232 -2.9408 -0.8531
H15 3.7778 -1.3422 -1.5229
H16 3.4282 -1.9265 1.5303
H17 4.8447 -1.2991 2.3528
H18 5.0174 -1.9917 0.7584
H19 6.1251 0.6297 1.3484
H20 5.8471 2.9351 0.5265
H21 3.7011 3.6716 -0.4319
H22 1.6228 2.8623 -1.6537
H23 0.9346 2.9262 -0.0566
H24 0.7557 1.4826 -1.1295
S1 0.3693 1.3892 2.9893
C21 -0.8067 2.3692 2.1141
N3 -1.2438 1.9425 0.9041
C22 -2.0667 2.8938 0.2664
C23 -2.6598 2.7842 -0.9836
C24 -3.4401 3.8377 -1.4167
C25 -3.6366 4.9704 -0.6160
C26 -3.0568 5.0777 0.6335
C27 -2.2625 4.0185 1.0586
S2 -1.4010 3.8662 2.5747
H25 -2.5279 1.8981 -1.5932
H26 -3.9152 3.7869 -2.3875
H27 -4.2596 5.7769 -0.9794
H28 -3.2196 5.9508 1.2540

No. 2
Entry from the OMol25 dataset: a molecular structure, C27H28MoN2O6STe4 at a distorted geometry (ωB97M-V/def2-TZVPD).

Calculated values
Energy above the lowest of the compared OMol25 structures with the same formula, charge and spin in eV: 0.153
Total charge: -2
E in eV: -85586.6807
Lowest unoccupied orbital energy in eV: 4.027

Cartesian coordinates (Å):
Mo1 -0.5594 -0.3550 -0.2757
C1 2.2423 3.0797 0.4306
C2 1.7029 2.3517 1.5928
C3 2.3803 1.0584 1.5954
C4 3.1655 0.9837 0.4778
C5 3.0817 2.2376 -0.2425
C6 3.7541 2.5479 -1.5445
C7 3.9297 -0.2123 -0.0051
C8 2.1420 0.0422 2.6610
C9 1.2301 3.0114 2.8647
C10 1.9713 4.5116 0.0905
H1 4.6302 3.1940 -1.4132
H2 3.0672 3.0523 -2.2288
H3 4.0990 1.6387 -2.0399
H4 5.0044 -0.1186 0.1876
H5 3.8066 -0.3418 -1.0851
H6 3.5626 -1.1278 0.4558
H7 2.4629 0.4143 3.6404
H8 2.6721 -0.8871 2.4564
H9 1.0778 -0.2008 2.7390
H10 2.0778 3.2498 3.5188
H11 0.5528 2.3557 3.4149
H12 0.6953 3.9408 2.6588
H13 2.7910 5.1625 0.4146
H14 1.0549 4.8742 0.5608
H15 1.8530 4.6412 -0.9887
C11 -7.8913 -1.8608 1.6064
C12 -6.4251 -1.6642 1.8952
C13 -5.4650 -2.3480 1.1615
C14 -4.1121 -2.1275 1.3854
C15 -3.7199 -1.2174 2.3500
C16 -4.6624 -0.5224 3.0932
C17 -6.0096 -0.7504 2.8623
S1 -1.9944 -0.9316 2.6913
O1 -1.8564 0.4857 2.9101
O2 -1.6291 -1.7897 3.7986
N1 -1.2314 -1.4147 1.3419
C18 -0.5758 -2.7231 1.4051
C19 0.8838 -2.5537 0.9729
O3 1.7304 -3.3947 1.2181
O4 1.0797 -1.4443 0.3325
H16 -8.0873 -2.8793 1.2687
H17 -8.2325 -1.1726 0.8303
H18 -8.4990 -1.6874 2.4973
H19 -5.7348 -3.0429 0.3725
H20 -3.3889 -2.6438 0.7655
H21 -4.3385 0.2054 3.8262
H22 -6.7509 -0.2024 3.4349
H23 -1.0423 -3.4158 0.6932
H24 -0.6069 -3.1715 2.3926
Te1 -3.0061 0.7193 -0.8115
Te2 -2.6306 -3.1112 -2.0324
Te3 -4.4327 -1.2208 -2.2888
Te4 -0.2429 1.9360 0.4070
O5 0.5280 2.0240 -2.7201
C20 0.8372 0.8624 -2.8375
N2 0.3138 -0.2370 -2.1446
C21 0.9190 -1.4041 -2.6281
O6 0.6416 -2.5214 -2.2764
C22 1.9626 -1.0167 -3.6294
C23 2.8783 -1.7766 -4.3275
C24 3.7286 -1.1060 -5.2014
C25 3.6461 0.2768 -5.3633
C26 2.7151 1.0270 -4.6519
- - -

O1 -1.8564 0.4857 2.9101
O2 -1.6291 -1.7897 3.7986
N1 -1.2314 -1.4147 1.3419
C18 -0.5758 -2.7231 1.4051
C19 0.8838 -2.5537 0.9729
O3 1.7304 -3.3947 1.2181
O4 1.0797 -1.4443 0.3325
H16 -8.0873 -2.8793 1.2687
H17 -8.2325 -1.1726 0.8303
H18 -8.4990 -1.6874 2.4973
H19 -5.7348 -3.0429 0.3725
H20 -3.3889 -2.6438 0.7655
H21 -4.3385 0.2054 3.8262
H22 -6.7509 -0.2024 3.4349
H23 -1.0423 -3.4158 0.6932
H24 -0.6069 -3.1715 2.3926
Te1 -3.0061 0.7193 -0.8115
Te2 -2.6306 -3.1112 -2.0324
Te3 -4.4327 -1.2208 -2.2888
Te4 -0.2429 1.9360 0.4070
O5 0.5280 2.0240 -2.7201
C20 0.8372 0.8624 -2.8375
N2 0.3138 -0.2370 -2.1446
C21 0.9190 -1.4041 -2.6281
O6 0.6416 -2.5214 -2.2764
C22 1.9626 -1.0167 -3.6294
C23 2.8783 -1.7766 -4.3275
C24 3.7286 -1.1060 -5.2014
C25 3.6461 0.2768 -5.3633
C26 2.7151 1.0270 -4.6519